• Listing:
~~~
1.
Theoretical powder X-ray diffraction pattern of Y4NiB13 for copper Kα, from the PBE geometry in the Materials Project.
Intensities are scaled so that the largest is 100.

Peak list (6 most intense, 2θ = 10–90°, sorted by position)
- (0 0 2), 25.66 deg, intensity 52
- (2 1 0), 27.13 deg, intensity 83
- (2 1 2), 37.69 deg, intensity 100
- (3 1 2), 47.06 deg, intensity 37
- (4 1 0), 51.26 deg, intensity 37
- (4 1 2), 58.19 deg, intensity 32

Structure:
a b c (Å): 7.348 7.348 6.942
angles (deg): 90.00 90.00 90.00
Space group P4/mnc (No. 128)
Asymmetric unit:
Y: 0.180 0.315 0.000 (multiplicity 8)
Ni: 0.000 0.000 0.500 (multiplicity 2)
B: 0.000 0.000 0.000 (multiplicity 2)
B: 0.040 0.830 0.244 (multiplicity 16)
B: 0.093 0.593 0.250 (multiplicity 8)

***

2.
Theoretical powder X-ray diffraction pattern of Zn3Ni20B6 for copper Kα, from the PBE geometry in the Materials Project.
Intensities are scaled so that the largest is 100.

Peak list (6 most intense, 2θ = 10–90°, sorted by position)
- (4 2 0), 38.37 deg, intensity 25
- (4 2 2), 42.20 deg, intensity 31
- (3 3 3), 44.89 deg, intensity 100
- (4 4 0), 49.12 deg, intensity 21
- (5 3 1), 51.53 deg, intensity 25
- (6 6 0), 77.15 deg, intensity 23

Structure:
a b c (Å): 10.491 10.491 10.491
angles (deg): 90.00 90.00 90.00
Space group Fm-3m (No. 225)
Asymmetric unit:
Zn: 0.000 0.000 0.000 (multiplicity 4)
Zn: 0.250 0.250 0.250 (multiplicity 8)
Ni: 0.000 0.169 0.169 (multiplicity 48)
Ni: 0.117 0.117 0.383 (multiplicity 32)
B: 0.000 0.000 0.275 (multiplicity 24)

***

3.
Theoretical powder X-ray diffraction pattern of ZnNi3B2 for copper Kα, from the PBE geometry in the Materials Project.
Intensities are scaled so that the largest is 100.

Peak list (6 most intense, 2θ = 10–90°, sorted by position)
- (1 1 1), 34.88 deg, intensity 56
- (4 0 -2), 40.65 deg, intensity 68
- (3 1 0), 42.78 deg, intensity 42
- (0 0 4), 43.77 deg, intensity 52
- (1 1 -3), 45.11 deg, intensity 100
- (3 1 1), 45.72 deg, intensity 70

Structure:
a b c (Å): 9.475 2.889 8.437
angles (deg): 90.00 101.31 90.00
Space group C2/m (No. 12)
Asymmetric unit:
Zn: 0.138 0.000 0.025 (multiplicity 4)
Ni: 0.004 0.500 0.212 (multiplicity 4)
Ni: 0.139 0.500 0.503 (multiplicity 4)
Ni: 0.219 0.000 0.751 (multiplicity 4)
B: 0.015 0.000 0.611 (multiplicity 4)
B: 0.155 0.000 0.316 (multiplicity 4)

***

4.
Theoretical powder X-ray diffraction pattern of Zr3Ni20B6 for copper Kα, from the PBE geometry in the Materials Project.
Intensities are scaled so that the largest is 100.

Peak list (6 most intense, 2θ = 10–90°, sorted by position)
- (4 2 0), 37.63 deg, intensity 29
- (4 2 2), 41.38 deg, intensity 38
- (3 3 3), 44.02 deg, intensity 100
- (4 4 0), 48.16 deg, intensity 25
- (5 3 1), 50.52 deg, intensity 20
- (6 6 0), 75.47 deg, intensity 27

Structure:
a b c (Å): 10.689 10.689 10.689
angles (deg): 90.00 90.00 90.00
Space group Fm-3m (No. 225)
Asymmetric unit:
Zr: 0.000 0.000 0.000 (multiplicity 4)
Zr: 0.250 0.250 0.250 (multiplicity 8)
Ni: 0.000 0.172 0.172 (multiplicity 48)
Ni: 0.114 0.114 0.386 (multiplicity 32)
B: 0.000 0.000 0.268 (multiplicity 24)

***

5.
Theoretical powder X-ray diffraction pattern of Zr2Ni21B6 for copper Kα, from the PBE geometry in the Materials Project.
Intensities are scaled so that the largest is 100.

Peak list (6 most intense, 2θ = 10–90°, sorted by position)
- (4 2 0), 37.98 deg, intensity 37
- (4 2 2), 41.76 deg, intensity 37
- (3 3 3), 44.43 deg, intensity 100
- (4 4 0), 48.61 deg, intensity 23
- (5 3 1), 50.99 deg, intensity 26
- (6 6 0), 76.25 deg, intensity 27

Structure:
a b c (Å): 10.595 10.595 10.595
angles (deg): 90.00 90.00 90.00
Space group Fm-3m (No. 225)
Asymmetric unit:
Zr: 0.250 0.250 0.250 (multiplicity 8)
Ni: 0.000 0.000 0.000 (multiplicity 4)
Ni: 0.000 0.170 0.170 (multiplicity 48)
Ni: 0.114 0.114 0.386 (multiplicity 32)
B: 0.000 0.000 0.270 (multiplicity 24)

***

6.
Theoretical powder X-ray diffraction pattern of NpB4 for copper Kα, from the PBE geometry in the Materials Project.
~~~

• To do:
What is needed: search the listing further up for the word "Theoretical" and give back each line that has it.

• Written answer:
Theoretical powder X-ray diffraction pattern of Y4NiB13 for copper Kα, from the PBE geometry in the Materials Project.
Theoretical powder X-ray diffraction pattern of Zn3Ni20B6 for copper Kα, from the PBE geometry in the Materials Project.
Theoretical powder X-ray diffraction pattern of ZnNi3B2 for copper Kα, from the PBE geometry in the Materials Project.
Theoretical powder X-ray diffraction pattern of Zr3Ni20B6 for copper Kα, from the PBE geometry in the Materials Project.
Theoretical powder X-ray diffraction pattern of Zr2Ni21B6 for copper Kα, from the PBE geometry in the Materials Project.
Theoretical powder X-ray diffraction pattern of NpB4 for copper Kα, from the PBE geometry in the Materials Project.